During the so-called. the anti-terrorist operation of the Ukrainian army had to face a host of problems of various kinds. During the years of independence, the country's leadership did not pay enough attention to the armed forces, which is why their equipment and training leaves much to be desired, and even militias without special training can effectively resist them. The lack of a coherent state policy forces the military to take care of their own security on their own. In particular, many units of the Ukrainian army are forced to independently modernize their equipment and equip it with additional protection systems.
A characteristic feature of the current conflict in Ukraine is the use of physically and morally outdated technology, which no longer fully meets the requirements of the time. One of the consequences of this is the appearance of combat vehicles, which received the protection of handicraft production. To increase the level of protection of combat vehicles, various means are used to attract attention. Let's consider the main methods of such additional equipment of military equipment used by the Ukrainian military.
The current conflict has reaffirmed the obvious thesis: light armored vehicles, by definition, cannot protect the crew from anti-tank weapons, for example, rocket-propelled grenade launchers. To solve this problem, various anti-cumulative screens are used. Indeed, equipping a combat vehicle with a metal or lattice screen makes it possible to cause an anti-tank grenade to detonate at a distance from the armor and thereby save equipment from defeat. In addition, some screens destroy the grenade and prevent it from exploding. Such screens have been known since the Second World War and have been used with noticeable success.
Ukrainian designers, creating the BTR-4 armored personnel carrier, took into account the experience of armed conflicts in recent decades and equipped the new vehicle with anti-cumulative lattice screens. Such protection, created by specialists, has corresponding high characteristics. There are cases when armored personnel carriers with factory-made grilles returned from battle with anti-tank grenades stuck between the screen plates. Naturally, the lattice screens are damaged, but the armored personnel carrier and its crew remain intact.

BTR-4 after the battle
Not all Ukrainian armored vehicles are equipped with factory-made lattice screens. Crews often have to "upgrade" their equipment on their own. Handicraft screens made from various materials at hand have become widespread. For example, armored personnel carriers and infantry fighting vehicles with screens made of metal mesh stretched over the frame often appear in the battle zone. For obvious reasons, such protection is not very effective. The rigidity and strength of the meshes used do not allow keeping the rocket-propelled grenade at the required distance from the armor and initiating its detonation. As a result, mesh screens do not increase the level of protection of the equipment, but to some extent complicate its operation.
In mid-September, photographs of one of the motorized rifle units of Ukraine, equipped with BMP-2 infantry fighting vehicles, were published. Taking into account the existing experience, the unit's equipment was finalized and received a set of anti-cumulative screens. On the front of the upper frontal plate of the vehicles, a wide grille of small height was installed, covering the projection of the upper part of the hull. The sides of the car were also covered with lattices of the appropriate size. In addition, fasteners for rubber screens were installed on the lower frontal part of the machine body.

Crystal structures, kept here for reference:
- - -
Record 1
Here is an optimized crystal structure of Cs2PtF6 from Materials Project. Energies are from meta-GGA r2SCAN.

Unit cell a=6.2194 b=6.2194 c=4.9917 alpha=90.00 beta=90.00 gamma=120.00
Element x y z (fractional)
Cs  0.3333  0.6667  0.2049
Cs  0.6667  0.3333  0.7951
Pt  0.0000  0.0000  0.5000
F  0.1522  0.3044  0.7147
F  0.1522  0.8478  0.7147
F  0.3044  0.1522  0.2853
F  0.6956  0.8478  0.7147
F  0.8478  0.1522  0.2853
F  0.8478  0.6956  0.2853

Computed properties:
Its formation enthalpy at 0 K is -2.359 eV per atom. The space-group type is No. 164.

=====

Record 2
Here is an optimized crystal structure of Cs2RhF6 from Materials Project. Energies are from meta-GGA r2SCAN.

Unit cell a=6.2021 b=6.2021 c=4.9692 alpha=90.00 beta=90.00 gamma=120.00
Element x y z (fractional)
Cs  0.3333  0.6667  0.2949
Cs  0.6667  0.3333  0.7051
Rh  0.0000  0.0000  0.0000
F  0.1489  0.2979  0.7834
F  0.1489  0.8511  0.7834
F  0.2979  0.1489  0.2166
F  0.7021  0.8511  0.7834
F  0.8511  0.1489  0.2166
F  0.8511  0.7021  0.2166

Computed properties:
Its formation enthalpy at 0 K is -2.442 eV per atom. The space-group type is No. 164.

=====

- What is the formation enthalpy at 0 K in the second record?
  -2.442 eV per atom

=====

- What is the formation enthalpy at 0 K in the first record?
  -2.359 eV per atom

* * * * *

1.
Compound: Na4Ge2Te5
Source: the Materials Project database
Functional: PBE
Structure: optimized geometry

calculated total energy	-3.336	eV per atom
E above lowest polymorph	0.0000	eV per atom
E (MP2020)	-77.61	eV/cell
SG	P-1

Unit cell a=8.0073 b=9.7563 c=10.8500 alpha=68.22 beta=70.79 gamma=67.71
With the nearest neighbours (Å) after each atom.
Atoms (fractional coordinates):
Na: 0.0371 0.2631 0.4817  5 Te 3.18-3.41
Na: 0.1785 0.0483 0.0858  5 Te 3.22-3.33
Na: 0.2327 0.5586 0.0727  5 Te 3.21-3.50
Na: 0.3732 0.3675 0.6902  5 Te 3.21-3.40
Na: 0.6268 0.6325 0.3098  5 Te 3.21-3.40
Na: 0.7673 0.4414 0.9273  5 Te 3.21-3.50
Na: 0.8215 0.9517 0.9142  5 Te 3.22-3.33
Na: 0.9629 0.7369 0.5183  5 Te 3.18-3.41
Ge: 0.3954 0.7626 0.6448  1 Ge 2.50, 3 Te 2.60-2.68
Ge: 0.4147 0.9402 0.7536  1 Ge 2.50, 3 Te 2.59-2.69
Ge: 0.5853 0.0598 0.2464  1 Ge 2.50, 3 Te 2.59-2.69
Ge: 0.6046 0.2374 0.3552  1 Ge 2.50, 3 Te 2.60-2.68
Te: 0.1041 0.1575 0.7804  1 Ge 2.60
Te: 0.1044 0.6715 0.7853  1 Ge 2.60
Te: 0.3050 0.9428 0.4063  2 Ge 2.68-2.69
Te: 0.3090 0.4705 0.3722  1 Ge 2.60
Te: 0.4874 0.2315 0.0196  1 Ge 2.59
Te: 0.5126 0.7685 0.9804  1 Ge 2.59
Te: 0.6910 0.5295 0.6278  1 Ge 2.60
Te: 0.6950 0.0572 0.5937  2 Ge 2.68-2.69
Te: 0.8956 0.3285 0.2147  1 Ge 2.60
Te: 0.8959 0.8425 0.2196  1 Ge 2.60



2.
Compound: CdRe2H26C6S6N12O9
Source: the Materials Project database
Functional: PBE
Structure: optimized geometry

spin magnetization	0.126	μB/cell
calculated total energy	-5.986	eV per atom
E (MP2020)	-760.62	eV/cell
SG	C2/c

Unit cell a=10.7539 b=10.7539 c=15.1348 alpha=106.32 beta=106.32 gamma=85.18
With the nearest neighbours (Å) after each atom.
- - -

The side and frontal screens of the BMP-2 in the available photos can speak of their origin: probably, a certain enterprise participated in their manufacture. The screens are based on metal corners, from which the structure frame is made. Metal rods are welded onto the corners, forming a mesh. The soft frontal screen, in turn, is a sheet of rubber of the required size, covering the lower part of the frontal projection of the machine. The exact fate of vehicles equipped in this way is unknown, but it can be assumed that they have a much better chance of surviving on the battlefield than vehicles with nets.
In early October, a photo of a Ukrainian armored personnel carrier with a very original additional protection appeared. The sides of the car are covered with a lattice screen assembled from metal rods. Sandbags or soil bags are placed between the body and the grilles for additional protection. The lower frontal part is covered with a metal plate. Finally, tank reactive armor units are welded onto the side skirts and the cheekbones of the hull's forehead. Such a set of additional means of protection shows how seriously the authors of this "modernization project" approached the matter.

BTR with reactive armor units. Photo ukrinform.ua
Nevertheless, experts and amateurs of military equipment immediately noticed a number of disadvantages that could significantly worsen the survivability of an armored personnel carrier. First of all, these are dynamic protection units welded onto relatively thin bulletproof armor. When a grenade hits and the charge is detonated, the ERA is capable of breaking through the armor of an armored personnel carrier and causing damage to both the vehicle and the crew. However, there is reason to doubt that explosives are still present inside the welded blocks. Perhaps only empty boxes were installed on the armored personnel carrier, which to some extent increased the level of protection. However, even in this case, the additional protection of the armored vehicle looks doubtful and ambiguous.
The lack of the required number of combat-ready armored vehicles leads to the emergence of converted civilian equipment, equipped with armor. This technique is typical of recent local wars in Asia and Africa. It is noteworthy that in these wars, converted civilian vehicles were and are used mainly by non-governmental armed groups. As for the current war in Ukraine, such equipment is ordered primarily by the security forces, and industrial enterprises are engaged in its manufacture.
In most cases, refitting vehicles involves installing metal sheets over the body. Nevertheless, the Ukrainian conflict has shown that even such an approach to the creation of improvised armored vehicles can be accompanied by original ideas and solutions.
In mid-July, the Nikolaev diesel locomotive repair plant completed the re-equipment of two UAZ-3303 vehicles, modified by order of the Border Service of Ukraine. The vehicles received protection for the cockpit and a metal body, in which a turret with a machine gun was installed. The shooter's workplace was protected in a standard way for this technique: sheet metal was used. At the same time, the chassis and the cockpit received original protection.

[The piece is interrupted by crystal structures]
********
[1]
# Y2MgV2O7

A geometry-optimized Y2MgV2O7 structure (GGA+U, Materials Project).

a = 5.925 Å, b = 5.925 Å, c = 5.508 Å
α = 85.71°, β = 94.29°, γ = 68.83°
Fractional positions:
O: 0.438 0.562 0.227
O: 0.655 0.049 0.332
O: 0.564 0.436 0.775
O: 0.342 0.942 0.641
O: 0.058 0.658 0.641
O: 0.951 0.345 0.332
O: 0.021 0.979 0.047
Mg: 0.051 0.949 0.415
V: 0.729 0.271 0.097
V: 0.260 0.740 0.906
Y: 0.327 0.314 0.500
Y: 0.686 0.673 0.500

Output
The value obtained for the calculated formation energy is -3.06 eV/atom. As for the crystal system: monoclinic. Its energy is -7.991 eV/atom. Its symmetry is Cm (8).

[2]
# MgV2Zn4O8

A geometry-optimized MgV2Zn4O8 structure (GGA+U, Materials Project).

a = 6.026 Å, b = 6.026 Å, c = 6.294 Å
α = 61.53°, β = 61.53°, γ = 59.11°
Fractional positions:
O: 0.375 0.862 0.872
O: 0.875 0.388 0.378
O: 0.388 0.875 0.378
O: 0.851 0.851 0.446
O: 0.388 0.388 0.359
O: 0.399 0.399 0.804
O: 0.862 0.375 0.872
O: 0.862 0.862 0.891
Zn: 0.625 0.125 0.625
Zn: 0.961 0.961 0.092
Zn: 0.125 0.625 0.625
Zn: 0.289 0.289 0.158
V: 0.625 0.625 0.125
V: 0.625 0.625 0.625
Mg: 0.125 0.125 0.625

Output
The value obtained for the calculated formation energy is -2.04 eV/atom. As for the crystal system: monoclinic. Its energy is -5.738 eV/atom. Its symmetry is C2/m (12).

[3]
# MgV4ZnO10

A geometry-optimized MgV4ZnO10 structure (GGA+U, Materials Project).

a = 3.511 Å, b = 5.462 Å, c = 11.805 Å
α = 90.00°, β = 90.00°, γ = 108.62°
Fractional positions:
Zn: 0.910 0.820 0.750
V: 0.209 0.417 0.600
V: 0.209 0.417 0.900
V: 0.783 0.566 0.102
V: 0.783 0.566 0.398
O: 0.307 0.615 0.750
O: 0.219 0.438 0.432
O: 0.694 0.390 0.250
O: 0.219 0.438 0.068
O: 0.941 0.885 0.356
O: 0.052 0.102 0.633
O: 0.052 0.102 0.867
O: 0.779 0.559 0.930
O: 0.941 0.885 0.144
O: 0.779 0.559 0.570
Mg: 0.503 0.010 0.250

Output
The value obtained for the calculated formation energy is -2.38 eV/atom. As for the crystal system: monoclinic. Its energy is -7.064 eV/atom. Its symmetry is Pm (6).

[4]
# MgV4ZnO10

A geometry-optimized MgV4ZnO10 structure (GGA+U, Materials Project).

a = 3.521 Å, b = 5.338 Å, c = 11.775 Å
α = 90.01°, β = 89.98°, γ = 105.36°
Fractional positions:
Mg: 0.596 0.972 0.250
O: 0.230 0.441 0.930
O: 0.104 0.107 0.357
O: 0.102 0.107 0.142
O: 0.933 0.900 0.632
O: 0.777 0.558 0.069
O: 0.697 0.386 0.750
O: 0.230 0.441 0.570
O: 0.933 0.900 0.868
O: 0.778 0.557 0.431
O: 0.313 0.603 0.250
Zn: 0.116 0.179 0.750
V: 0.788 0.583 0.900
V: 0.225 0.427 0.102
V: 0.226 0.427 0.398
V: 0.789 0.583 0.600

Output
The value obtained for the calculated formation energy is -2.38 eV/atom. As for the crystal system: monoclinic. Its energy is -7.064 eV/atom. Its symmetry is Pm (6).

[5]
# MgV3Zn2O8

A geometry-optimized MgV3Zn2O8 structure (GGA+U, Materials Project).

a = 6.021 Å, b = 5.991 Å, c = 6.024 Å
α = 60.58°, β = 89.18°, γ = 119.59°
Fractional positions:
O: 0.400 0.278 0.860
O: 0.396 0.234 0.387
O: 0.850 0.222 0.390
O: 0.854 0.266 0.863
O: 0.850 0.725 0.867
O: 0.396 0.762 0.843
********
[Here the piece continues]

Armored UAZ-3303
The wheels, frame and lower part of the cab doors received protection made of sections of the metal airfield cover. Such a metal profile is hardly capable of providing serious protection against small arms bullets, but it is of interest as a technical curiosity. The protection of the frontal projection of the car and the side windows of the cab looks no less original. On these parts of the base trucks, a structure from a metal frame and reinforcement welded onto it was installed. The rods of the latter were attached to the frame, and also welded together. The protection characteristics of such "reinforcing armor" raise serious doubts, although the originality of the idea is worth considering.
An interesting approach to the manufacture of improvised armored vehicles for the Ukrainian military is demonstrated by the Energoatom company, which cooperates with the Atomremontservice enterprise. In early September, the company handed over to the security officials three minibuses that received protection. The vehicles were reportedly equipped with steel plate armor. Above the front part of the car body, structures of a characteristic angular shape were installed. Comparatively large windows were left to monitor the road.

No. 1
Material: H12WN3O3F5
Method: DFT, PBE with a Hubbard U
State: relaxed

The structure in extended XYZ format:
```
192
Lattice="-3.550 7.053 -0.008 -10.350 -5.226 -13.645 -12.559 -6.307 11.942" Properties=species:S:1:pos:R:3 pbc="T T T"
H -10.634 -3.120 3.704
H -12.413 -1.809 -10.385
H -4.039 3.421 0.931
H -22.247 -3.411 -2.221
H -5.000 -0.644 2.995
H -16.211 -2.754 0.728
H -13.426 0.098 4.730
H -10.295 -0.794 -0.631
H -19.046 -6.221 -3.573
H -19.581 -6.470 -2.004
H -16.313 -7.224 2.518
H -14.439 -6.294 -9.260
H -17.964 -6.247 -0.326
H -13.033 -4.577 -6.441
H -16.106 -1.086 0.482
H -18.910 -7.527 0.061
H -20.890 -2.715 -5.790
H -8.034 -1.614 0.381
H -20.984 -8.015 -3.467
H -7.549 3.048 -1.772
H -13.460 -5.736 4.821
H -14.140 0.088 -8.209
H -12.123 -2.655 9.338
H -12.940 -5.458 3.252
H -6.878 1.990 0.293
H -16.010 -1.767 2.116
H -13.648 -0.818 6.070
H -10.353 -3.393 -2.193
H -17.286 -4.148 -7.475
H -12.548 0.084 -8.594
H -10.449 -2.713 -3.828
H -7.413 1.741 1.861
H -13.984 -3.255 -6.694
H -19.555 -5.277 3.784
H -10.318 -1.831 -6.316
H -12.020 1.815 7.548
H -9.159 1.624 -5.021
H -14.336 -1.825 -11.050
H -16.299 -7.165 4.182
H -16.141 -2.648 4.604
H -7.165 -1.983 -0.958
H -4.212 -1.069 0.509
H -5.672 -1.822 0.838
H -12.475 -1.224 4.982
H -5.475 3.535 1.755
H -21.825 -4.372 0.924
H -22.420 -7.901 -2.643
H -12.319 -4.568 6.497
H -10.248 -1.725 -2.440
H -14.666 -1.924 4.276
H -16.664 -1.730 7.746
H -17.471 -8.760 1.855
H -19.448 -5.997 0.351
H -4.634 -0.108 -2.635
H -10.664 1.282 1.406
H -13.003 -5.907 7.176
H -16.164 -3.686 -1.080
H -12.999 1.257 -6.532
H -14.046 -2.671 8.673
H -12.811 -3.662 -7.782
H -9.795 -2.749 -9.458
H -10.924 1.466 -5.068
H -6.904 0.797 -5.495
H -15.795 -5.761 -3.118
H -7.011 1.518 -2.062
H -8.495 1.767 -1.385
H -12.738 2.404 5.738
H -11.690 -2.500 -2.747
H -20.787 -2.658 -2.549
H -15.535 -5.946 3.356
H -18.425 -2.866 -2.092
H -17.300 -6.104 3.310
H -9.173 -0.331 5.763
H -15.825 -1.360 -5.416
H -13.456 1.428 -8.888
H -13.911 -4.564 6.883
H -10.146 2.744 -4.229
H -14.647 -0.367 -11.844
H -12.686 -6.245 -1.055
H -13.519 0.979 -4.963
H -15.842 -5.384 -9.016
H -11.812 -4.113 10.133
H -7.539 -3.165 0.132
H -10.160 2.686 -5.893
H -10.617 0.905 7.305
H -19.294 -2.497 -0.753
H -8.988 4.280 -3.567
H -11.793 -2.555 -5.987
H -5.569 -1.765 4.078
H -16.041 0.637 10.602
H -14.769 -1.979 1.035
H -13.773 1.766 -0.656
H -21.459 -3.836 -4.707
H -18.920 -1.314 -1.843
H -13.721 -6.883 -7.450
H -10.418 -5.117 -12.314
N -10.082 2.097 -5.045
N -12.786 1.456 -5.504
N -15.495 -2.433 3.833
N -15.797 -1.868 1.090
N -4.770 -1.458 1.280
N -19.201 -2.296 -1.752
N -4.466 3.836 1.778
N -10.662 -2.612 -2.802
N -21.689 -3.022 -2.992
N -7.258 -2.184 0.041
N -21.412 -3.606 -5.734
N -13.298 0.668 -8.218
N -19.867 -6.524 -3.033
N -13.028 -3.614 -6.783
N -6.592 2.045 1.321
N -21.993 -8.316 -3.490
N -18.931 -6.578 -0.317
N -16.377 -6.577 3.334
N -5.047 -0.873 4.022
N -10.964 -2.046 -5.545
N -13.673 -5.936 3.792
N -13.161 -5.147 6.507
N -7.528 2.099 -1.394

"Armored cars" of the "Energoatom" company of the second version. Photo energoatom.kiev.ua
On the last day of September, Energoatom announced the transfer of three more modified vehicles to the military. They are said to have received a lightweight booking option. Apparently, the relief lies in the change in the design of the armoring of the front of the vehicles. So, instead of a large frontal sheet and side sheets in the front of the car, we received grilles of the same size. The reasons for the appearance of such a design are not fully understood. Nevertheless, one can immediately speak of an extremely low level of protection of such a design. The grille does not protect the windshield and hood of the car from bullets and shrapnel, which is why any shots at them can be fatal both for the car itself and for its crew.
Among the improvised "armored personnel carriers", the car shown at the beginning of October by the Zaporizhstal plant stands out. As a base for it, a serial KamAZ truck was taken, which was sheathed with 6-mm steel. As can be seen in the photographs available, all important vehicle components have been protected, from the cab to the rear wheels. A retractable shield covering the windshield is provided, as well as sheets that protect the rear wheels from the sides and the front axle in front. In the sides of the armored van there are loopholes for observing the situation and firing personal weapons. The frontal leaf covering the cockpit is decorated with a stylized blue-yellow trident.

Zaporozhye armored KamAZ. Photo ipnews.in.ua
It was argued that the steel-clad KamAZ would be sent to one of the units fighting on the territory of the DPR. Earlier, the Zaporizhstal plant had already fulfilled the order of the military, then a car of the UAZ brand received protection. This time, Zaporozhye specialists took into account the experience gained and made a protected truck. Nevertheless, as follows from the published data, armor steel is not used in the protection of the vehicle, which accordingly affects its survivability in real combat conditions.
All the considered samples of full-fledged and improvised armored vehicles, as well as ways to increase their level of protection, are interesting from a technical point of view. In terms of their real characteristics, they seriously differ from each other, however, in many cases, additional protection of equipment can be considered more a means of complacency than a real way to save vehicles and soldiers. However, in the current situation, the Ukrainian military does not have to choose, they are forced to use the available opportunities and look for ways to protect themselves and their equipment.
The appearance of artisanal means of additional protection and improvised armored vehicles can speak of one unpleasant fact for Ukraine. Homemade grilles and nets on armored personnel carriers are a sign that the country's defense industry was not ready to ensure the participation of the army in hostilities. Apparently, she either did not have her own developments in this area, or all these projects were simply not implemented. As a result, the soldiers had to independently search for nets or gratings and install them on their combat vehicles.
The appearance of improvised armored vehicles also speaks of the poor state of the armed forces and industry. The troops have a certain number of tanks, armored personnel carriers and infantry fighting vehicles, but the number of combat-ready equipment could be insufficient to solve the assigned tasks. Repair companies are actively involved in the restoration of unusable equipment, but the losses are still too great and they simply cannot cope with the load. The solution to this problem is the installation of metal parts on civilian vehicles. Due to the workload of defense enterprises, other factories are involved in the assembly of such equipment.
Samples of improvised armored vehicles and combat vehicles with home-made means of additional protection simultaneously demonstrate two interrelated trends. On the one hand, the fighters of the armed forces want to get equipment with a high level of protection that can protect them from enemy fire, and on the other hand, the industry cannot provide them with everything they need. Naturally, all this affects the loss of people and equipment, and also contributes to the victories of the militia.